A Long Commute
== Inserted here: records of crystals ==
********
# 1
# HfCrAgS4 (PBE-GGA, relaxed)
data_HfCrAgS4
_chemical_formula_sum 'Hf4 Cr4 Ag4 S16'
_space_group_name_H-M_alt 'P m n 21'
_space_group_IT_number 31
_cell_length_a 3.595
_cell_length_b 11.345
_cell_length_c 13.195
_cell_angle_alpha 90.00
_cell_angle_beta 90.00
_cell_angle_gamma 90.00
loop_
_space_group_symop_operation_xyz
'x,y,z'
'-x+1/2,-y,z+1/2'
'-x,y,z'
'x+1/2,-y,z+1/2'
loop_
_atom_site_label
_atom_site_fract_x
_atom_site_fract_y
_atom_site_fract_z
Hf1 0.000 0.178 0.000
Hf2 0.000 0.203 0.526
Cr1 0.000 0.658 0.317
Cr2 0.000 0.688 0.802
Ag1 0.000 0.506 0.602
Ag2 0.000 0.997 0.745
S1 0.000 0.169 0.335
S2 0.000 0.295 0.702
S3 0.000 0.381 0.934
S4 0.000 0.450 0.262
S5 0.000 0.651 0.980
S6 0.000 0.773 0.626
S7 0.000 0.866 0.369
S8 0.000 0.953 0.065
# - Final energy: -6.42 eV per atom
# - Formation energy: -109.5 kJ/mol of atoms
# - MP2020-corrected energy: -187.72 eV for the cell shown
# - E above lowest polymorph: 0.098 eV/atom

# 2
# CsBe2BO3F2 (PBE-GGA, relaxed)
data_CsBe2BO3F2
_chemical_formula_sum 'Cs3 Be6 B3 O9 F6'
_space_group_name_H-M_alt 'R 3 2'
_space_group_IT_number 155
_space_group_name_Hall 'R 3 2"'
_cell_length_a 4.4825
_cell_length_b 4.4825
_cell_length_c 22.1155
_cell_angle_alpha 90.00
_cell_angle_beta 90.00
_cell_angle_gamma 120.00
loop_
_atom_site_label
_atom_site_fract_x
_atom_site_fract_y
_atom_site_fract_z
Cs1 0.0000 0.0000 0.0000
Be1 0.0000 0.0000 0.1919
B1 0.0000 0.0000 0.5000
O1 0.0000 0.6913 0.5000
F1 0.0000 0.0000 0.2624
# - Final energy: -6.58 eV per atom
# - Formation energy: -305.6 kJ/mol of atoms
# - Largest piezoelectric modulus: 0.0 C/m²
# - MP2020-corrected energy: -186.69 eV for the cell shown

Question: Which of these has the lowest MP2020-corrected energy?
Answer: HfCrAgS4

Question: Number 2 is which compound?
Answer: CsBe2BO3F2

Question: Which formula does entry 1 have?
Answer: HfCrAgS4


Record 1
The following is a DFT calculation (PBE) of a relaxed Ca3Mg crystal.

Output
- Crystal system: tetragonal
- DFT total energy: -1.904 eV per atom
- Symmetry: I4/mmm (139)
- E_form: 0.01 kcal/mol of atoms

Lattice parameters (Å, degrees): 6.4601 6.4601 6.4601 131.96 131.96 70.29
Closest atoms and distances in Å follow each position.
Fractional positions:
Ca 0.2500 0.7500 0.5000  8 Ca 3.72-3.73, 4 Mg 3.73
Ca 0.7500 0.2500 0.5000  8 Ca 3.72-3.73, 4 Mg 3.73
Ca 0.5000 0.5000 0.0000  4 Mg 3.72, 8 Ca 3.73
Mg 0.0000 0.0000 0.0000  12 Ca 3.72-3.73

***

Record 2
The following is a DFT calculation (PBE) of a relaxed BiClF8 crystal.

Output
- Crystal system: triclinic
- DFT total energy: -3.423 eV per atom
- Symmetry: P-1 (2)
- E_form: -38.91 kcal/mol of atoms

Lattice parameters (Å, degrees): 5.3998 5.9203 10.7790 90.58 93.61 93.72
Closest atoms and distances in Å follow each position.
Fractional positions:
F 0.5753 0.4529 0.8764  1 Cl 1.62
F 0.5981 0.5215 0.6595  1 Cl 1.62
F 0.6726 0.9631 0.8968  1 Bi 2.03
F 0.8887 0.2803 0.0839  1 Bi 2.02
F 0.8163 0.6997 0.4217  1 Bi 2.12, 1 Cl 2.18
F 0.4019 0.4785 0.3405  1 Cl 1.62
********
== End of the records of crystals ==
Finance & Development, March 2015, Vol. 52, No. 1
Immigrants do more good than harm when they enter a country’s job market

John, a Wall Street hedge fund manager, and Juan, a Nicaraguan construction worker, have an important trait in common: they are both global arbitrageurs.
John looks for small differences in interest rates across the globe, moves billions of dollars with a keystroke, and presumably contributes to more efficient allocation of capital.
Juan moved from Masaya to California to take advantage of a different but significantly larger price gap—average construction wages 11 times higher than in Nicaragua. He used his family’s life savings to pay the smugglers’ fees and lives in constant fear of getting caught and deported. Yet he is the envy of the 30 percent of Nicaraguans surveyed by a 2012 Gallup poll who said they would migrate if they had the chance.
John has benefited from the recent swift integration of financial and product markets. And Juan is a success story in his own right. He is one of the few to overcome the geographic, cultural, linguistic, and policy-induced barriers facing most migrants who aspire to move to higher-paying jobs in other countries.
The halting integration of labor markets is the single most important exception to the globalization process, leading to persistent wage differentials. It is the reason why the share of immigrants has been quite stable at about 3 percent of the world population since 1960. There are large wage gaps not only in low-skill sectors like construction and agriculture but also in many higher-skill occupations (ILO, 2012/3). Nurses make seven times more in Australia than in the Philippines; accountants six times more in the United Kingdom than in Sri Lanka; and doctors five times more in the United States than in Egypt—in purchasing power parity terms.
Public perception
The low levels of global migration and large wage gaps between migrant-sending and -receiving countries suggest relative insulation of domestic labor markets and a minimal impact of migration on wages.
But that’s not the public perception. Many people in high-income Organisation for Economic Co-operation and Development (OECD) countries consider immigration the most important challenge their countries currently face and blame migrants like Juan for declining wages and high unemployment.
How justified are these sentiments? A key theme of the migration debate is misperception and ignorance. Opinion polls by IPSOS Mori (Duffy and Frere-Smith, 2014) indicate that British people think immigrants make up 24 percent of the population, but the actual number is 13 percent. The gap is even wider in the United States (32 percent versus 13 percent), France (28 percent versus 10 percent), and Spain (24 percent versus 12 percent). Such perception bias affects sentiments about migration.
Patterns of migration
We should look at actual migration patterns before discussing their impact on jobs. Between 1960 and 2010, the number of global migrants increased from 90 million to 215 million—stable at about 3 percent of the world population. Two-thirds of the growth came from migration to western Europe and the United States. The rest represents increased mobility between the countries of the former Soviet Union, the emergence of the oil-rich Persian Gulf countries as key destinations, greater intra-Africa migration, and migration to Australia, Canada, and New Zealand. Several fast-growing middle-income countries, such as Malaysia, South Africa, and Turkey, became regional magnets for both refugees and job seekers.
Higher south-north migration is the defining feature of the past five decades. Newly released data by the OECD and the World Bank reveal interesting patterns of migration to OECD countries, the focus of most debate over links between migration and job markets. The 113 million migrants in OECD countries as of 2010 represent a 38 percent increase from the previous decade. Migrants make up 11 percent of the OECD population, significantly above the global average, which may explain public anxiety in these countries. Intra-OECD migration is about 40 percent of the total, while the rest of the migrants come from Latin America (26 percent), Asia (24 percent), and Africa (10 percent).
The most critical determinant of the labor market impact of immigration is the skill composition of migrants. In OECD countries, migrants are almost equally divided between tertiary- (30 percent), secondary- (36 percent), and primary-educated (34 percent) people. Relative to natives, migrants are overrepresented among the tertiary educated (23 percent among natives), but underrepresented among the secondary- educated workers (41 percent among natives).

These numbers vary tremendously across OECD countries, making it difficult and dangerous to generalize. In Australia, Canada, New Zealand, and Switzerland migrants exceed 25 percent of the total population, while Japan has a barely noticeable 1 percent. Migrants to Australia, Canada, New Zealand, the United Kingdom, and the United States are more educated and account for 70 percent of all tertiary-educated migrants in OECD countries (see chart).
Migration does not take place in a vacuum. It is a response to different push and pull forces. As long as large wage gaps exist, millions of people like Juan will risk their lives to climb heavily guarded walls, swim rivers, and sail oceans to enter high-income countries. Migration and local labor market conditions influence each other, so economic analysis must account for these feedback mechanisms. (See Borjas, 2014, for an excellent review of the academic literature.)
Impact on jobs
Does migration create or destroy jobs? This is generally asked about jobs for native workers, not the overall level of employment in a country. Over 60 percent of voters in the United Kingdom and the United States, 50 percent in Spain and Italy, and 40 percent in France and Germany think immigrants take jobs away from natives. No wonder politicians became more anti-immigration over the past decade as the financial crisis slammed labor markets in OECD countries.
Politics and perceptions aside, there is fierce academic debate on the issue. But the numbers show relatively small wage and employment effects. For example, the widely cited Ottaviano and Peri (2008) study found that immigration caused an average 0.6 percent wage increase for U.S. natives during 1990–2006. Borjas and Katz (2007), however, found the effect to be around zero. Either way, the wage impact of immigration is clearly minimal and holds for EU countries as well. For example, Docquier, Peri, and Özden (2014) found that the average wage effect of new migrants (who arrived between 1990 and 2000) was an increase of about 0.3 percent in Germany and France, 0.8 percent in the United Kingdom, and somewhere in between for most other EU countries. Even Oxford economist Paul Collier, one of the most vocal critics of immigration, admits positive yet small effects on the labor markets in western countries, basing his opposition solely on cultural diversity and cohesion arguments.
There is wisdom in such analysis, but there are also shortcomings. First, these are average results, and so may obscure heterogeneous effects across society. Some groups, such as older and relatively less educated male workers who cannot compete and have little hope of gaining new skills, suffer significant losses.
Second, many of these workers may simply exit the labor force rather than take a wage cut. For them, early retirement, disability, or unemployment benefits may be more attractive options. Such effects will not show up in the numbers if analysis does not account for this type of semivoluntary unemployment and focuses only on the wages of the employed. Third, these are mostly big picture analyses that ignore sectoral differences. Many occupations are simply taken over by migrants willing to accept lower wages than native workers. So there may be little impact on high school graduates overall, but a huge impact on, say, the subcategory of high-school-educated machine operators.
Most labor economists would agree that migration is not the major culprit for the recent labor market challenges faced by older and less educated workers. Technological innovations, offshoring, financial volatility, rigid labor markets, and demographic change shape labor market outcomes more than migration. Migrants happen to be more visible and easier scapegoats for politicians and the public.
Dynamic effects
While most widely cited studies find minimal average impact of migration on labor markets, recent research is casting a wider net. The focus is now on dynamic effects that lead to structural and behavioral changes in labor markets. What matters is how migrants fit into destination labor markets—whether they complement or substitute native workers’ skills, the kinds of jobs they take away, and, most important, native workers’ responses in terms of job selection, education decisions, and other labor market choices. These have longer-term implications and warrant careful analysis.
The United States provides a useful laboratory for exploring such dynamic effects. Migrants make up 16 percent of the U.S. labor force but they are concentrated in several occupations. For example, they constitute 60 percent of many construction-related occupations and the majority of farm workers and butchers. At the other end of the education spectrum, over one-third of medical, physical, and mathematical scientists; doctors; and economists are also foreign born. These ratios increased gradually over the past decade, indicating that migrants had already specialized in these two ends of the skill spectrum. These are also the occupations in which native worker seem to be in short supply. The United States simply needs more doctors, scientists, and engineers as well as construction and farm workers and housekeepers than natives are willing or able to supply at current wages.
One possible response by natives—especially in low-skill occupations—is to exit the labor force and enjoy the generous unemployment benefits of the welfare state. Or, as Giovanni Peri from University of California at Davis argues in many of his articles, immigrants may push natives toward more complex tasks by taking away their manual-routine jobs (see “Toil and Technology,” in this issue of F&D). This job upgrading is critical for productivity and income growth and is more prevalent in countries with more flexible labor laws, such as the United Kingdom and the United States. Such reallocation across occupations may also take place among tertiary-educated workers. When immigrants with advanced degrees migrate, they tend to choose occupations that require more quantitative and analytical skills. When the share of foreign-born workers rises, native workers with similar graduate degrees choose new occupations with less analytical but more communication and managerial requirements.
These complementarities between migrant and native workers also appear elsewhere. In a rare study from a middle-income migrant-receiving country, Mathis Wagner, from Boston College, and I found that arrival of low-skilled Indonesian and Filipino workers shook up the Malaysian labor market. During 1990–2010, Malaysia’s remarkable national education program boosted the share of young people with at least secondary education from 50 percent to 80 percent. The resulting shortage of low-skilled workers was met by migrant workers who were employed in large numbers in construction, on plantations, and in export-oriented low-tech manufacturing. Young high-school-educated Malaysians became their supervisors. We found that the arrival of 10 migrant workers led to almost 7 medium-skill jobs for natives in Malaysia. Absent this migration, these recent high school graduates would not have gotten jobs commensurate with their education. Most important, the large supply of unskilled migrants encouraged young Malaysians to invest in their education to distinguish themselves in the labor market and take better advantage of the skill complementarities.
Such complementarity extends to women’s decisions to participate in the labor force. Women shoulder most household responsibilities in many countries, so their decision to enter the labor force involves more complex trade-offs than men’s. Many women, especially the highly educated, choose not to work full time or at all. The arrival of low-skilled migrant women willing to provide household services at lower prices can radically alter the labor force decisions of women in destination countries. Patricia Cortes, of Boston University, and her colleagues show that foreign domestic workers increased the employment levels of native young mothers and highly educated women in Hong Kong SAR and in the United States. Given that over half of current university students in many countries are women, including in 32 OECD countries, this job-creation effect can be critically important for long-term economic prosperity.
Another example of complementarity comes from the world of soccer, probably the most integrated global labor market (see “On the Ball,” in the March 2014 F&D). When the best 736 players of the world converged in Brazil last summer for the FIFA World Cup, they represented 32 national teams. But almost half of these stars were playing in the English Premier League, Italian Serie A, German Bundesliga, and Spanish La Liga. Only 6 of the 92 African players were playing in their home country.
In research labs, universities, and high-tech companies, skilled workers complement each other. Agglomeration of skills improves productivity and further expands economic activity. Real Madrid, Google, the New York Philharmonic, and Hollywood all benefit from this phenomenon and become global brands with superior products. Such spillovers are one reason we see less opposition to migration among the high-skilled, who clearly see their individual productivity increasing when they work with people like themselves.
Winners and losers
So far we have focused on how immigration creates jobs, especially through complementarities in the labor force between native and migrant workers. The overall effect of immigration tends to be positive, and definitely not as harmful as most public opinion assumes. Immigrants take jobs natives are unable or unwilling to perform. They are the engineering professors and fruit pickers, hedge fund managers and construction workers.
But as with any economic activity, there are losers. There is a Spanish player who was kicked out of Real Madrid when Portuguese superstar Cristiano Ronaldo arrived. Some primary school–educated Malaysian construction workers could not compete with Filipino workers and were too old to acquire new skills. Many U.S. nannies lost their jobs to Mexican migrants willing to accept lower wages.
The public perception of the job-killing effects of migration is strong because job losses are visible to all, especially to those directly affected. Job-creating effects are less transparent. The Malaysian supervisor of the Indonesian laborer and the U.S. businesswoman who can stay late at the office because she has a great foreign-born nanny rarely consider that they owe their jobs and paychecks to an immigrant.
Labor markets are complex. Immigration, in most cases, is a response to supply and demand. But migrants affect the labor market in ways that further increase complexity. Since the gains seem to be larger than losses, an economist would simply recommend policies that compensate the losers by taxing the gains of the winners.
Immigrants create pockets of important skill complementarities that should be nurtured. This is especially true for the highly skilled—whether academics, engineers, movie stars, athletes, or even business executives. No country should ever limit high-skilled migration through quotas. On the contrary, every PhD should come with a permanent residence card. Instead of a quota, the government can charge “administrative fees,” which employers would be more than happy to pay in return for easier processing.
Almost all analyses ignore the largest benefit of migration—lower prices for consumers. Our houses are cleaned more cheaply, we have more doctors, and we pay less for the lettuce picked by migrant workers. We do not observe the impact of migration on our daily purchases, and economists cannot calculate them easily. But these gains are real and larger than any other effect. It is neither legally nor practically possible to impose a special tax on lettuce or a doctor’s visit simply because its delivery involved a migrant. But we can tax the employment of migrants. That is in essence what is behind the sophisticated migration-management policies of countries like Singapore and Saudi Arabia. An employment visa includes a fee collected from the employer that is based on skill level and occupation of the migrant, firm size and sector, and current labor market conditions. The fee is adjusted as conditions change and there is continuous feedback from employers, labor unions, and researchers. This fee system is identical to a tariff paid at the border by the importer of a good. Coupled with severe penalties for tax evasion, this system can reduce informal employment of undocumented migrants and generate revenues.
Substitution between natives and migrants is more visible and harmful. Flexible labor markets like those in Canada, the United Kingdom, and the United States seem better able to handle the negative effects, but people who lose their jobs need help. Here’s where the taxes we collected above enter the picture. Compensatory policies come in many forms—unemployment insurance or training subsidies. But the most important policy is to encourage people—especially young workers—to acquire newer, superior, and complementary skills, through education.
Migration policies lag in sophistication and efficiency. Treasuries and central banks are ruled by economists, but “no economists are allowed” in most countries when it comes to migration policy. National security and legal concerns dominate the debate and bureaucracies: migration administration tends to fall under the Ministry of the Interior or National Security. Residency, employment authorization, and citizenship are granted on legal or political principles with no consideration for economic conditions. By introducing minimal economic criteria to their decision processes, the migration regimes of Australia, Canada, and Singapore immediately became very effective. Europe and the United States have much to learn from them.
The best policy will not build taller and longer walls to block immigrants like Juan. The best policy will let Juan (and John) in and find a way to tax part of the economic gain he generates to train the workers he replaces. Easier said than done, but worth the gain! ■
Borjas, George, 2014, Immigration Economics (Cambridge, Massachusetts: Harvard University Press).
———, and Lawrence Katz, 2007, “The Evolution of the Mexican-Born Workforce in the United States,” in Mexican Immigration to the United States, ed. by George J. Borjas (Chicago: University of Chicago Press).
Docquier, Frederic, Giovanni Peri, and Çağlar Özden, 2014, “The Labor Market Impact of Immigration and Emigration in OECD Countries,” Economic Journal, Vol. 124, pp. 1106–1145.
Duffy, Bobby, and Tom Frere-Smith, 2014, Perceptions and Reality: Public Attitudes to Migration, IPSOS Mori Social Research Institute (London).
International Labor Organization (ILO), 2012/2013, Global Wage Report (Geneva).
Ottaviano, Gianmarco, and Giovanni Peri, 2008, “Rethinking the Effect of Immigration on Wages,” Journal of the European Economic Association, Vol. 10, pp. 152–97.